-- Activity --
Type out all of the block further down with every line break kept.

-- Data --
Record 1
DFT (ωB97M-V with the def2-TZVPD basis set) results for C34H45Ge2N3PV as an isolated structure at a distorted geometry.

Results
Highest occupied orbital energy (alpha / beta) in eV: -10.22 / -10.91
Energy relative to the best compared isomer or geometry (same formula, charge and spin) in kcal per mole: 27.15
2S+1: 4
Net charge: +1
DFT total energy in eV: -188457.24936
E_LUMO (alpha / beta) in eV: -2.078 / -2.775

The geometry in XYZ format:
```
86
C34H45Ge2N3PV ωB97M-V with the def2-TZVPD basis set
V 0.35385 -0.12535 0.30282
C 2.00092 -3.41706 -0.05911
C 0.95996 -2.64327 -0.86422
Ge -0.71317 -2.62645 0.13072
C -2.28253 -2.42239 -1.07212
C -3.69380 -2.52142 -0.34605
C -0.82514 -3.79444 1.75587
C -1.11952 -2.98279 2.79073
Ge -0.94676 -1.07754 2.39925
C 0.92788 -0.61710 2.77497
C 1.08833 0.34902 3.94460
C -2.06467 0.04600 3.47957
C -3.51690 -0.19014 3.16948
C -1.45302 -3.52191 4.07790
C -1.10610 -2.79472 5.23727
C -1.71727 -3.02237 6.45676
C -2.53915 -4.12731 6.61963
C -2.73851 -4.96053 5.58646
C -2.27516 -4.59712 4.31607
H 3.01317 -3.13391 -0.40134
H 1.96298 -4.47552 -0.27254
H 2.00021 -3.29533 0.98145
H 0.69719 -3.05212 -1.80717
H 1.43376 -1.69013 -1.14121
H -2.15789 -3.19523 -1.81312
H -2.19661 -1.48743 -1.65951
H -3.72330 -3.47798 0.26825
H -4.57852 -2.65873 -1.00831
H -3.95668 -1.68513 0.22775
H -0.68922 -4.84294 1.94235
H 1.57992 -0.39684 1.91364
H 1.24558 -1.58111 3.14247
H 0.75322 1.39325 3.70947
H 2.06075 0.50894 4.31484
H 0.51497 -0.02003 4.76370
H -1.72102 1.03818 3.36726
H -1.73572 -0.24420 4.47154
H -3.93821 0.51376 2.44450
H -4.19829 -0.12455 3.99028
H -3.66640 -1.16623 2.65727
H -0.35092 -1.96193 5.10691
H -1.49246 -2.37440 7.30235
H -2.88007 -4.39916 7.62265
H -3.38995 -5.80609 5.73344
H -2.56892 -5.29819 3.50914
N 0.55643 2.53347 1.43944
N -0.51523 1.69783 0.83726
H 0.19807 3.51445 1.44631
H 1.38018 2.45890 0.89122
H -0.84839 2.19255 0.03836
H -1.29807 1.67539 1.53363
N 1.11463 0.62165 -1.28607
P 1.28531 1.68794 -2.43005
C 2.66824 2.89136 -2.24687
C 3.59555 2.60078 -1.19502
C 4.54259 3.57334 -0.83385
C 4.65843 4.73380 -1.56491
C 3.89775 4.97779 -2.69603
C 2.85276 4.04490 -2.98043
C -0.16694 2.73288 -2.71306
C -0.35056 4.00968 -2.25567
C -1.47197 4.73924 -2.58431
C -2.40850 4.19589 -3.45984
C -2.18281 2.93322 -3.95561
C -1.09041 2.20196 -3.56287
C 1.55876 0.79738 -3.99366
C 2.17614 1.35804 -5.11026
C 2.53093 0.51204 -6.11758
C 2.22652 -0.80752 -6.11032
C 1.61520 -1.40932 -5.02410
C 1.29343 -0.59296 -3.94802
H 3.48921 1.69818 -0.61472
H 5.17796 3.34359 -0.04322
H 5.38515 5.49872 -1.31468
H 4.18458 5.92306 -3.18495
H 2.10669 4.21619 -3.78629
H 0.37874 4.52332 -1.55222
H -1.71511 5.78221 -2.23422
H -3.26914 4.72240 -3.75907
H -2.88913 2.54763 -4.60680
H -0.93311 1.19253 -3.91392
H 2.28364 2.39308 -5.12811
H 3.02150 0.96639 -6.96013
H 2.46444 -1.36232 -7.02447
H 1.33156 -2.47261 -5.03410
H 0.80815 -0.88707 -3.02747
```

---

Record 2
DFT (ωB97M-V with the def2-TZVPD basis set) results for a 15-piece molecular cluster, C31H85N7O38S8 overall at a distorted geometry.

Results
Highest occupied orbital energy in eV: -10.23
DFT total energy in eV: -208414.44839
E_LUMO in eV: -0.882

The geometry in XYZ format:
```
169
C31H85N7O38S8 ωB97M-V with the def2-TZVPD basis set
C -1.64191 0.19076 5.55144
N -2.87885 -0.42275 5.04409
O -2.78881 -1.43874 4.38947
O -3.94691 0.11267 5.38533
H -0.72619 -0.16139 5.07653
H -1.37391 -0.03294 6.58402
H -1.70638 1.24090 5.26657
C 3.80665 3.71254 -0.22688
N 4.66724 2.51768 0.21032
O 5.67511 2.41925 -0.52094
O 4.25056 1.73078 1.08502
H 3.03557 3.91716 0.51586
H 3.46091 3.27903 -1.16530
H 4.41051 4.59180 -0.45129
C -0.68294 3.18063 -5.84647
N -0.26040 4.48429 -5.39794
O 0.34324 4.56817 -4.33101
O -0.51184 5.38430 -6.22891
H -1.51201 3.32544 -6.53912
H -1.09693 2.78679 -4.91825
H 0.17635 2.61467 -6.20622
C 3.32814 0.60100 4.75278
N 3.18351 -0.58317 5.65385
O 2.09281 -1.00886 5.85568
O 4.20937 -1.22849 5.85245
H 3.13356 0.24044 3.74271
H 4.29699 1.05518 4.96049
H 2.47465 1.23420 4.99509

-- Worked solution --
Record 1
DFT (ωB97M-V with the def2-TZVPD basis set) results for C34H45Ge2N3PV as an isolated structure at a distorted geometry.

Results
Highest occupied orbital energy (alpha / beta) in eV: -10.22 / -10.91
Energy relative to the best compared isomer or geometry (same formula, charge and spin) in kcal per mole: 27.15
2S+1: 4
Net charge: +1
DFT total energy in eV: -188457.24936
E_LUMO (alpha / beta) in eV: -2.078 / -2.775

The geometry in XYZ format:
```
86
C34H45Ge2N3PV ωB97M-V with the def2-TZVPD basis set
V 0.35385 -0.12535 0.30282
C 2.00092 -3.41706 -0.05911
C 0.95996 -2.64327 -0.86422
Ge -0.71317 -2.62645 0.13072
C -2.28253 -2.42239 -1.07212
C -3.69380 -2.52142 -0.34605
C -0.82514 -3.79444 1.75587
C -1.11952 -2.98279 2.79073
Ge -0.94676 -1.07754 2.39925
C 0.92788 -0.61710 2.77497
C 1.08833 0.34902 3.94460
C -2.06467 0.04600 3.47957
C -3.51690 -0.19014 3.16948
C -1.45302 -3.52191 4.07790
C -1.10610 -2.79472 5.23727
C -1.71727 -3.02237 6.45676
C -2.53915 -4.12731 6.61963
C -2.73851 -4.96053 5.58646
C -2.27516 -4.59712 4.31607
H 3.01317 -3.13391 -0.40134
H 1.96298 -4.47552 -0.27254
H 2.00021 -3.29533 0.98145
H 0.69719 -3.05212 -1.80717
H 1.43376 -1.69013 -1.14121
H -2.15789 -3.19523 -1.81312
H -2.19661 -1.48743 -1.65951
H -3.72330 -3.47798 0.26825
H -4.57852 -2.65873 -1.00831
H -3.95668 -1.68513 0.22775
H -0.68922 -4.84294 1.94235
H 1.57992 -0.39684 1.91364
H 1.24558 -1.58111 3.14247
H 0.75322 1.39325 3.70947
H 2.06075 0.50894 4.31484
H 0.51497 -0.02003 4.76370
H -1.72102 1.03818 3.36726
H -1.73572 -0.24420 4.47154
H -3.93821 0.51376 2.44450
H -4.19829 -0.12455 3.99028
H -3.66640 -1.16623 2.65727
H -0.35092 -1.96193 5.10691
H -1.49246 -2.37440 7.30235
H -2.88007 -4.39916 7.62265
H -3.38995 -5.80609 5.73344
H -2.56892 -5.29819 3.50914
N 0.55643 2.53347 1.43944
N -0.51523 1.69783 0.83726
H 0.19807 3.51445 1.44631
H 1.38018 2.45890 0.89122
H -0.84839 2.19255 0.03836
H -1.29807 1.67539 1.53363
N 1.11463 0.62165 -1.28607
P 1.28531 1.68794 -2.43005
C 2.66824 2.89136 -2.24687
C 3.59555 2.60078 -1.19502
C 4.54259 3.57334 -0.83385
C 4.65843 4.73380 -1.56491
C 3.89775 4.97779 -2.69603
C 2.85276 4.04490 -2.98043
C -0.16694 2.73288 -2.71306
C -0.35056 4.00968 -2.25567
C -1.47197 4.73924 -2.58431
C -2.40850 4.19589 -3.45984
C -2.18281 2.93322 -3.95561
C -1.09041 2.20196 -3.56287
C 1.55876 0.79738 -3.99366
C 2.17614 1.35804 -5.11026
C 2.53093 0.51204 -6.11758
C 2.22652 -0.80752 -6.11032
C 1.61520 -1.40932 -5.02410
C 1.29343 -0.59296 -3.94802
H 3.48921 1.69818 -0.61472
H 5.17796 3.34359 -0.04322
H 5.38515 5.49872 -1.31468
H 4.18458 5.92306 -3.18495
H 2.10669 4.21619 -3.78629
H 0.37874 4.52332 -1.55222
H -1.71511 5.78221 -2.23422
H -3.26914 4.72240 -3.75907
H -2.88913 2.54763 -4.60680
H -0.93311 1.19253 -3.91392
H 2.28364 2.39308 -5.12811
H 3.02150 0.96639 -6.96013
H 2.46444 -1.36232 -7.02447
H 1.33156 -2.47261 -5.03410
H 0.80815 -0.88707 -3.02747
```

---

Record 2
DFT (ωB97M-V with the def2-TZVPD basis set) results for a 15-piece molecular cluster, C31H85N7O38S8 overall at a distorted geometry.

Results
Highest occupied orbital energy in eV: -10.23
DFT total energy in eV: -208414.44839
E_LUMO in eV: -0.882

The geometry in XYZ format:
```
169
C31H85N7O38S8 ωB97M-V with the def2-TZVPD basis set
C -1.64191 0.19076 5.55144
N -2.87885 -0.42275 5.04409
O -2.78881 -1.43874 4.38947
O -3.94691 0.11267 5.38533
H -0.72619 -0.16139 5.07653
H -1.37391 -0.03294 6.58402
H -1.70638 1.24090 5.26657
C 3.80665 3.71254 -0.22688
N 4.66724 2.51768 0.21032
O 5.67511 2.41925 -0.52094
O 4.25056 1.73078 1.08502
H 3.03557 3.91716 0.51586
H 3.46091 3.27903 -1.16530
H 4.41051 4.59180 -0.45129
C -0.68294 3.18063 -5.84647
N -0.26040 4.48429 -5.39794
O 0.34324 4.56817 -4.33101
O -0.51184 5.38430 -6.22891
H -1.51201 3.32544 -6.53912
H -1.09693 2.78679 -4.91825
H 0.17635 2.61467 -6.20622
C 3.32814 0.60100 4.75278
N 3.18351 -0.58317 5.65385
O 2.09281 -1.00886 5.85568
O 4.20937 -1.22849 5.85245
H 3.13356 0.24044 3.74271
H 4.29699 1.05518 4.96049
H 2.47465 1.23420 4.99509